- - -
[1]
Below is a relaxed CaCo2Si2 crystal, with properties calculated at the PBE level.

Summary:
The value obtained for the formation energy is -0.5917 eV per atom. The total energy is -30.17 eV for the cell shown. As for the space group: No. 139.

Structure (POSCAR):
```
CaCo2Si2
1.0
-4.1377 1.5681 3.5524
-3.9985 3.7226 -1.5343
2.4913 -4.7187 -1.9304
Si Co Ca
2 2 1
Direct
0.6317 0.6317 0.0000
0.3683 0.3683 0.0000
0.7500 0.2500 0.5000
0.2500 0.7500 0.5000
0.0000 0.0000 0.0000
```



[2]
Below is a relaxed Ca2CoW crystal, with properties calculated at the PBE level.

Summary:
The value obtained for the formation energy is 1.0017 eV per atom. The total energy is -20.07 eV for the cell shown. For the magnetic moment, the calculation gives 1.08 Bohr magnetons per cell. As for the space group: No. 216.

Structure (POSCAR):
```
Ca2CoW
1.0
0.0000 3.4018 3.4018
3.4018 0.0000 3.4018
3.4018 3.4018 0.0000
Ca Co W
2 1 1
Direct
0.7500 0.7500 0.7500
0.5000 0.5000 0.5000
0.0000 0.0000 0.0000
0.2500 0.2500 0.2500
```



[3]
Below is a relaxed CaMg6Cr crystal, with properties calculated at the PBE level.

Summary:
The value obtained for the formation energy is 0.1687 eV per atom. The total energy is -39.82 eV for the cell shown. For the magnetic moment, the calculation gives 8.70 Bohr magnetons per cell.

Structure (POSCAR):
```
CaMg6Cr
1.0
5.1724 0.0000 0.0000
0.0000 6.5264 0.0000
0.0000 0.0000 11.2877
Mg Ca Cr
12 2 2
Direct
0.0000 0.7580 0.5834
0.5000 0.5000 0.6663
0.5000 0.2559 0.9194
0.5000 0.2441 0.4194
0.0000 0.2420 0.5834
0.0000 0.7420 0.0834
0.0000 0.2580 0.0834
0.0000 0.5000 0.8356
0.5000 0.7441 0.9194
0.5000 0.7559 0.4194
0.0000 0.0000 0.3356
0.5000 0.0000 0.1663
0.0000 0.0000 0.8297
0.0000 0.5000 0.3297
0.5000 0.0000 0.6629
0.5000 0.5000 0.1629
```



[4]
Below is a relaxed CaMg6Cr crystal, with properties calculated at the PBE level.

Summary:
The value obtained for the formation energy is 0.1693 eV per atom. The total energy is -39.81 eV for the cell shown. For the magnetic moment, the calculation gives 8.94 Bohr magnetons per cell.

Structure (POSCAR):
```
CaMg6Cr
1.0
5.1880 0.0000 0.0000
0.0000 6.5071 0.0000
0.0000 0.0000 11.2994
Mg Cr Ca
12 2 2
Direct
0.0000 0.7635 0.5833
0.5000 0.7537 0.4180
0.0000 0.2635 0.0833
0.5000 0.2537 0.9180
0.0000 0.0000 0.3373
0.0000 0.5000 0.8373
0.5000 0.7463 0.9180
0.0000 0.7365 0.0833
0.0000 0.5000 0.3284
0.5000 0.2463 0.4180
0.0000 0.0000 0.8284
0.0000 0.2365 0.5833
0.5000 0.5000 0.1653
0.5000 0.0000 0.6653
0.5000 0.0000 0.1662
0.5000 0.5000 0.6662
```



[5]
Below is a relaxed CaMg14Cr crystal, with properties calculated at the PBE level.

Summary:
The value obtained for the formation energy is 0.0852 eV per atom. The total energy is -32.70 eV for the cell shown. For the magnetic moment, the calculation gives 4.06 Bohr magnetons per cell. As for the space group: No. 38. The offset from the most stable computed form comes out at 0.000 eV/atom.

Structure (POSCAR):
```
CaMg14Cr
1.0
-1.2772 -2.0083 6.0096
5.9836 -0.4537 -2.3261
2.1362 9.5255 3.6372
Mg Ca Cr
14 1 1
Direct
0.8394 0.6697 0.3665
0.3344 0.1605 0.3779
0.3344 0.6739 0.3779
0.8300 0.1650 0.3839
0.6664 0.3342 0.6250
0.6664 0.8321 0.6250
0.1672 0.3336 0.6250
0.3344 0.6739 0.8721
0.8394 0.6697 0.8835
0.6611 0.3253 0.1250
0.8300 0.1650 0.8661
0.6611 0.8358 0.1250
0.3344 0.1605 0.8721
0.1660 0.8330 0.6250
0.1648 0.3324 0.1250
0.1708 0.8354 0.1250
```



[6]
Below is a relaxed CaMg14Cr crystal, with properties calculated at the PBE level.

Summary:
The value obtained for the formation energy is 0.0887 eV per atom. The total energy is -32.64 eV for the cell shown. For the magnetic moment, the calculation gives 4.23 Bohr magnetons per cell. As for the space group: No. 187. The offset from the most stable computed form comes out at 0.004 eV/atom.

Structure (POSCAR):
```
CaMg14Cr
1.0
6.4314 0.0000 0.0000
-3.2157 5.5697 0.0000
0.0000 0.0000 10.4080
Mg Ca Cr
14 1 1
Direct
0.6666 0.3332 0.6250
0.8336 0.1668 0.3852
0.6633 0.3265 0.1250
- - -

The reader should write out the whole of the data further above word for word.

[1]
Below is a relaxed CaCo2Si2 crystal, with properties calculated at the PBE level.

Summary:
The value obtained for the formation energy is -0.5917 eV per atom. The total energy is -30.17 eV for the cell shown. As for the space group: No. 139.

Structure (POSCAR):
```
CaCo2Si2
1.0
-4.1377 1.5681 3.5524
-3.9985 3.7226 -1.5343
2.4913 -4.7187 -1.9304
Si Co Ca
2 2 1
Direct
0.6317 0.6317 0.0000
0.3683 0.3683 0.0000
0.7500 0.2500 0.5000
0.2500 0.7500 0.5000
0.0000 0.0000 0.0000
```



[2]
Below is a relaxed Ca2CoW crystal, with properties calculated at the PBE level.

Summary:
The value obtained for the formation energy is 1.0017 eV per atom. The total energy is -20.07 eV for the cell shown. For the magnetic moment, the calculation gives 1.08 Bohr magnetons per cell. As for the space group: No. 216.

Structure (POSCAR):
```
Ca2CoW
1.0
0.0000 3.4018 3.4018
3.4018 0.0000 3.4018
3.4018 3.4018 0.0000
Ca Co W
2 1 1
Direct
0.7500 0.7500 0.7500
0.5000 0.5000 0.5000
0.0000 0.0000 0.0000
0.2500 0.2500 0.2500
```



[3]
Below is a relaxed CaMg6Cr crystal, with properties calculated at the PBE level.

Summary:
The value obtained for the formation energy is 0.1687 eV per atom. The total energy is -39.82 eV for the cell shown. For the magnetic moment, the calculation gives 8.70 Bohr magnetons per cell.

Structure (POSCAR):
```
CaMg6Cr
1.0
5.1724 0.0000 0.0000
0.0000 6.5264 0.0000
0.0000 0.0000 11.2877
Mg Ca Cr
12 2 2
Direct
0.0000 0.7580 0.5834
0.5000 0.5000 0.6663
0.5000 0.2559 0.9194
0.5000 0.2441 0.4194
0.0000 0.2420 0.5834
0.0000 0.7420 0.0834
0.0000 0.2580 0.0834
0.0000 0.5000 0.8356
0.5000 0.7441 0.9194
0.5000 0.7559 0.4194
0.0000 0.0000 0.3356
0.5000 0.0000 0.1663
0.0000 0.0000 0.8297
0.0000 0.5000 0.3297
0.5000 0.0000 0.6629
0.5000 0.5000 0.1629
```



[4]
Below is a relaxed CaMg6Cr crystal, with properties calculated at the PBE level.

Summary:
The value obtained for the formation energy is 0.1693 eV per atom. The total energy is -39.81 eV for the cell shown. For the magnetic moment, the calculation gives 8.94 Bohr magnetons per cell.

Structure (POSCAR):
```
CaMg6Cr
1.0
5.1880 0.0000 0.0000
0.0000 6.5071 0.0000
0.0000 0.0000 11.2994
Mg Cr Ca
12 2 2
Direct
0.0000 0.7635 0.5833
0.5000 0.7537 0.4180
0.0000 0.2635 0.0833
0.5000 0.2537 0.9180
0.0000 0.0000 0.3373
0.0000 0.5000 0.8373
0.5000 0.7463 0.9180
0.0000 0.7365 0.0833
0.0000 0.5000 0.3284
0.5000 0.2463 0.4180
0.0000 0.0000 0.8284
0.0000 0.2365 0.5833
0.5000 0.5000 0.1653
0.5000 0.0000 0.6653
0.5000 0.0000 0.1662
0.5000 0.5000 0.6662
```



[5]
Below is a relaxed CaMg14Cr crystal, with properties calculated at the PBE level.

Summary:
The value obtained for the formation energy is 0.0852 eV per atom. The total energy is -32.70 eV for the cell shown. For the magnetic moment, the calculation gives 4.06 Bohr magnetons per cell. As for the space group: No. 38. The offset from the most stable computed form comes out at 0.000 eV/atom.

Structure (POSCAR):
```
CaMg14Cr
1.0
-1.2772 -2.0083 6.0096
5.9836 -0.4537 -2.3261
2.1362 9.5255 3.6372
Mg Ca Cr
14 1 1
Direct
0.8394 0.6697 0.3665
0.3344 0.1605 0.3779
0.3344 0.6739 0.3779
0.8300 0.1650 0.3839
0.6664 0.3342 0.6250
0.6664 0.8321 0.6250
0.1672 0.3336 0.6250
0.3344 0.6739 0.8721
0.8394 0.6697 0.8835
0.6611 0.3253 0.1250
0.8300 0.1650 0.8661
0.6611 0.8358 0.1250
0.3344 0.1605 0.8721
0.1660 0.8330 0.6250
0.1648 0.3324 0.1250
0.1708 0.8354 0.1250
```



[6]
Below is a relaxed CaMg14Cr crystal, with properties calculated at the PBE level.

Summary:
The value obtained for the formation energy is 0.0887 eV per atom. The total energy is -32.64 eV for the cell shown. For the magnetic moment, the calculation gives 4.23 Bohr magnetons per cell. As for the space group: No. 187. The offset from the most stable computed form comes out at 0.004 eV/atom.

Structure (POSCAR):
```
CaMg14Cr
1.0
6.4314 0.0000 0.0000
-3.2157 5.5697 0.0000
0.0000 0.0000 10.4080
Mg Ca Cr
14 1 1
Direct
0.6666 0.3332 0.6250
0.8336 0.1668 0.3852
0.6633 0.3265 0.1250